Request
Your job: restate the whole of the data below unchanged.

Data
........
Material: Mg3Zn
Method: DFT, PBE
State: relaxed

```
data_Mg3Zn
_symmetry_space_group_name_H-M 'P m m 2'
_symmetry_Int_Tables_number 25
_symmetry_space_group_name_Hall 'P 2 -2'
_cell_length_a 3.095
_cell_length_b 4.995
_cell_length_c 5.298
_cell_angle_alpha 90.00
_cell_angle_beta 90.00
_cell_angle_gamma 90.00
loop_
_atom_site_label
_atom_site_fract_x
_atom_site_fract_y
_atom_site_fract_z
Mg1 0.000 0.000 0.000
Mg2 0.000 0.500 0.340
Mg3 0.500 0.000 0.511
Zn1 0.500 0.500 0.838
```
........

Outcome
Material: Mg3Zn
Method: DFT, PBE
State: relaxed

```
data_Mg3Zn
_symmetry_space_group_name_H-M 'P m m 2'
_symmetry_Int_Tables_number 25
_symmetry_space_group_name_Hall 'P 2 -2'
_cell_length_a 3.095
_cell_length_b 4.995
_cell_length_c 5.298
_cell_angle_alpha 90.00
_cell_angle_beta 90.00
_cell_angle_gamma 90.00
loop_
_atom_site_label
_atom_site_fract_x
_atom_site_fract_y
_atom_site_fract_z
Mg1 0.000 0.000 0.000
Mg2 0.000 0.500 0.340
Mg3 0.500 0.000 0.511
Zn1 0.500 0.500 0.838
```